Subject: S7-04-23
From: Hym Self

Oct. 28, 2023

Dear Securities and Exchange Commission (SEC), 

I am writing to express my concerns regarding the proposed rule "Safeguarding Advisory Client Assets" by the Securities and Exchange Commission (SEC). As a concerned U.S. citizen, I believe it is crucial to ensure investor protections while avoiding regulatory burdens that may stifle innovation in the rapidly evolving digital asset industry. 

One particular area of concern relates to the burden imposed on exchanges to demonstrate exclusive control over client assets, especially in the context of digital assets or cryptocurrencies. These assets, built on blockchain technology, have the potential to transform finance and offer new investment opportunities. However, regulatory uncertainties often create challenges in navigating this rapidly changing landscape. 

The proposed rule places a significant burden on exchanges to prove exclusive control over client assets, which can be impractical for certain types of digital assets. Unlike traditional assets, digital assets are often stored in distributed networks or decentralized platforms, making it difficult to establish exclusive control. Imposing strict requirements for exclusive control may disproportionately affect digital asset exchanges and hinder their ability to provide innovative services to investors. 

It is important that regulators understand the unique characteristics of digital assets and adopt a balanced approach that promotes investor protection while fostering innovation. Instead of emphasizing exclusive control, regulators should focus on establishing robust cybersecurity measures, transparency, and best practices. This will allow the industry to develop proper safeguards while encouraging responsible custody practices for digital assets. 

Furthermore, the proposed rule should consider incorporating industry standards and self-regulatory organizations' best practices. These organizations have a deep understanding of the digital asset ecosystem and are well-positioned to provide guidance on effective custody and safeguarding measures. By leveraging the expertise of these organizations, the SEC can streamline and align its rules with existing industry practices, reducing regulatory burdens without compromising investor protection. 

Next to the entry, the page also holds calculated molecules >
- - -
{"formula": "C28H43Br15IN3OS", "method": "wB97M-V/def2-TZVPD", "elements": ["C", "C", "C", "C", "N", "C", "C", "C", "C", "O", "I", "C", "Br", "C", "N", "C", "C", "N", "C", "C", "S", "H", "H", "H", "H", "H", "H", "H", "H", "H", "H", "H", "H", "H", "H", "H", "Br", "C", "C", "Br", "H", "H", "H", "H", "Br", "C", "C", "Br", "H", "H", "H", "H", "Br", "C", "C", "Br", "H", "H", "H", "H", "Br", "C", "C", "Br", "H", "H", "H", "H", "Br", "C", "C", "Br", "H", "H", "H", "H", "Br", "C", "C", "Br", "H", "H", "H", "H", "Br", "C", "C", "Br", "H", "H", "H", "H"], "coordinates": [[-0.684, 0.525, 4.856], [-2.074, 0.314, 4.064], [-2.017, -0.909, 2.969], [-0.902, -0.459, 1.871], [-1.355, -0.709, 0.465], [-0.228, -0.949, -0.466], [0.663, 0.228, -1.106], [0.412, 1.774, -0.764], [-1.103, 2.284, -0.971], [-1.883, 1.954, -1.941], [-1.840, 3.703, 0.570], [1.804, -0.229, -2.094], [2.943, 1.160, -3.000], [2.125, -1.763, -2.435], [3.230, -2.011, -3.343], [3.465, -3.418, -3.549], [2.571, -4.536, -2.890], [1.439, -4.335, -2.021], [1.270, -2.910, -1.804], [0.083, -2.468, -0.814], [-0.935, -3.796, -0.016], [-0.652, 1.641, 5.181], [0.264, 0.344, 4.232], [-0.676, -0.210, 5.738], [-2.444, 1.253, 3.496], [-2.870, 0.017, 4.840], [-1.688, -1.870, 3.509], [-3.044, -1.122, 2.492], [0.013, -1.150, 2.049], [-0.525, 0.622, 2.060], [-2.011, 0.010, 0.119], [1.110, 2.512, -1.305], [0.644, 1.897, 0.373], [4.348, -3.738, -4.234], [2.849, -5.639, -3.131], [-2.228, -3.821, -0.531], [0.873, 4.875, 6.046], [2.480, 3.915, 6.591], [2.301, 2.425, 6.448], [1.215, 1.702, 7.896], [2.707, 4.226, 7.610], [3.266, 4.274, 5.924], [3.260, 1.911, 6.529], [1.818, 2.136, 5.513], [-0.775, 1.216, -3.442], [-1.835, 0.997, -5.067], [-1.155, 0.071, -6.047], [0.311, 0.967, -6.967], [-2.011, 1.996, -5.468], [-2.782, 0.572, -4.731], [-1.847, -0.228, -6.839], [-0.738, -0.822, -5.579], [-2.912, -1.545, -3.227], [-3.122, -3.173, -4.279], [-4.114, -2.977, -5.399], [-5.947, -3.010, -4.735], [-3.406, -3.966, -3.585], [-2.128, -3.384, -4.677], [-4.056, -3.801, -6.113], [-3.985, -2.033, -5.930], [5.346, 5.064, 8.196], [4.997, 4.259, 9.937], [5.547, 2.856, 10.011], [4.409, 1.590, 9.057], [3.920, 4.311, 10.103], [5.502, 4.909, 10.655], [5.559, 2.502, 11.043], [6.549, 2.764, 9.588], [2.196, 8.801, 0.175], [0.700, 8.199, -0.920], [0.098, 6.928, -0.373], [1.204, 5.381, -0.797], [1.074, 8.095, -1.940], [-0.024, 9.014, -0.884], [-0.867, 6.725, -0.843], [-0.028, 6.941, 0.711], [8.255, -3.843, -1.748], [8.093, -5.477, -2.798], [7.139, -5.293, -3.953], [5.283, -5.335, -3.354], [7.790, -6.268, -2.111], [9.101, -5.684, -3.161], [7.228, -6.120, -4.661], [7.281, -4.350, -4.484], [-9.128, -2.991, -2.045], [-9.760, -3.054, -3.888], [-11.235, -3.368, -3.950], [-11.568, -5.262, -3.631], [-9.140, -3.783, -4.412], [-9.561, -2.058, -4.290], [-11.627, -3.176, -4.951], [-11.826, -2.813, -3.221]], "forces_ev_per_a": [[-0.53, 0.53, -0.32], [-0.49, -1.15, -0.46], [0.65, 1.18, 0.48], [0.51, -1.15, 0.87], [1.84, 0.40, -0.80], [1.91, -1.98, -1.82], [1.78, -3.36, -1.80], [-0.30, -0.60, 1.29], [-2.78, -1.57, -3.19], [0.49, 4.11, 11.46], [0.31, -0.42, -0.48], [-2.32, -1.21, 2.07], [-1.30, -1.65, 1.12], [-0.27, 0.35, 0.41], [-2.31, -4.67, 1.80], [-2.94, 2.72, 1.07], [-1.16, 1.50, 0.66], [4.45, 3.70, -3.09], [-1.22, 1.57, 1.10], [0.48, 3.39, -1.14], [0.57, 0.49, -0.36], [0.05, -2.08, -0.11], [-1.52, 0.16, 0.72], [0.16, 1.37, -1.17], [0.77, -1.39, 1.05], [1.09, 0.71, -1.10], [-0.42, 1.41, -0.93], [1.64, 0.55, 0.64], [-1.44, 1.23, -0.47], [-0.83, -1.55, -0.32], [0.66, -0.47, 0.23], [-1.10, -1.35, 0.50], [-0.52, -0.10, -2.01], [-2.73, 1.63, 1.12], [-0.89, 2.14, 0.53], [1.19, 0.81, -0.10], [0.00, -0.01, 0.08], [-0.07, 0.08, -0.24], [0.07, -0.20, 0.09], [-0.27, 0.00, -0.23], [-0.09, -0.15, -0.22], [-0.08, -0.10, 0.11], [-0.10, 0.17, -0.02], [0.02, 0.14, 0.16], [3.40, -2.71, -7.76], [0.43, 0.06, -0.10], [-0.18, 0.04, -0.36], [-0.01, -0.11, 0.08], [0.14, -0.19, -0.05], [0.17, 0.08, -0.09], [0.03, 0.03, 0.05], [-0.08, 0.23, 0.05], [-0.09, -0.48, 0.22], [0.18, 0.14, 0.05], [-0.17, -0.26, -0.10], [0.06, 0.10, 0.00], [-0.03, 0.12, -0.19], [-0.13, 0.02, 0.00], [0.05, 0.09, 0.11], [0.04, -0.13, 0.16], [0.08, 0.03, 0.11], [0.16, 0.18, 0.00], [-0.04, -0.30, 0.09], [0.38, 0.14, 0.25], [0.18, -0.11, -0.03], [-0.04, -0.13, -0.07], [-0.02, 0.11, -0.11], [-0.18, 0.13, 0.06], [-0.02, -0.04, -0.11], [0.03, 0.23, 0.14], [-0.15, -0.18, -0.18], [0.20, 0.19, -0.01], [-0.08, -0.08, 0.20], [0.03, -0.16, 0.02], [0.12, 0.05, 0.04], [0.08, 0.05, -0.19], [-0.07, -0.12, 0.00], [0.28, 0.18, 0.04], [-0.05, -0.43, -0.07], [2.43, -2.05, 0.54], [-0.03, 0.14, -0.18], [-0.15, 0.02, -0.02], [0.05, 0.09, 0.11], [0.02, -0.12, 0.18], [0.03, -0.07, -0.11], [0.10, 0.26, 0.13], [-0.11, -0.17, -0.22], [-0.02, 0.11, 0.06], [-0.20, 0.06, 0.08], [-0.08, -0.12, 0.02], [0.11, 0.00, 0.11], [0.20, -0.07, -0.09]], "lowdin_charge": [-0.149, -0.258, -0.173, -0.225, -0.060, -0.170, -0.195, -0.241, -0.751, -0.416, 0.748, -0.465, 0.634, -0.182, 0.052, -0.210, -0.153, 0.066, -0.177, -0.406, 0.677, 0.067, 0.069, 0.074, 0.097, 0.102, 0.108, 0.112, 0.130, 0.099, 0.105, 0.047, 0.113, -0.006, 0.055, -0.135, 0.602, -0.740, -0.705, 0.577, -0.006, 0.046, 0.011, 0.036, 0.987, -0.623, -0.713, 0.610, 0.061, -0.008, 0.051, 0.042, 0.721, -0.655, -0.688, 0.622, 0.053, 0.063, 0.060, 0.045, 0.660, -0.671, -0.673, 0.654, 0.057, 0.058, 0.059, 0.052, 0.601, -0.697, -0.709, 0.605, 0.052, 0.058, 0.045, 0.051, 0.613, -0.697, -0.624, 0.861, 0.053, 0.058, 0.062, 0.062, 0.592, -0.716, -0.700, 0.598, 0.033, 0.058, 0.057, 0.051], "e_homo_ha": -0.2629, "charge": 0, "lumo_ev": -1.144}
- - -

Additionally, the SEC should consider the potential unintended consequences of implementing stringent custody requirements. Excessive regulatory burdens may discourage legitimate businesses from entering the digital asset market, leading to reduced competition and limiting investors' access to innovative investment opportunities. Balancing regulatory oversight with market efficiency is essential for promoting positive economic growth and fostering capital formation. 

In closing, I urge the SEC to reconsider the burden placed on exchanges to demonstrate exclusive control over client assets, particularly in the context of digital assets. It is crucial to acknowledge the unique characteristics of this emerging asset class and work collaboratively with industry participants to strike a balance between investor protection and regulatory burdens. By adopting a risk-based approach and leveraging existing industry standards, the SEC can ensure that the proposed rule effectively safeguards client assets while nurturing innovation and competition in the digital asset market. 

Thank you for considering my concerns, and I appreciate the opportunity to provide input on this important matter. 

Yours sincerely, 

A Concerned U.S. Citizen